-- Excerpt --
____________
No. 1
Formula: C20H40Cl4O12
Source: the OMol25 dataset
Level of theory: ωB97M-V/def2-TZVPD

Orbital gap (spin up / spin down), eV: 9.81 / 2.73
DFT total energy, Ha: -3529.2347
F_max, Eh/bohr: 0.109

The geometry in ORCA input format:
```
! RIJCOSX wB97M-V def2-TZVPD def2/J DEFGRID3
* xyz 1 2
Cl 0.3682 -3.6433 1.2064
C -1.1878 -3.1688 0.4526
C -2.2022 -4.2436 0.2435
Cl -1.4944 -5.4960 -0.7213
H -0.8584 -2.7232 -0.4861
H -1.6390 -2.3850 1.0610
H -3.1028 -3.9771 -0.3096
H -2.4374 -4.5965 1.2477
Cl 0.2637 -5.1973 -3.9981
C 0.7765 -3.5232 -4.0013
C 1.6298 -3.0975 -5.1791
Cl 0.6958 -3.2515 -6.7829
H 1.0566 -3.1638 -3.0111
H -0.1816 -3.0223 -4.1398
H 2.3727 -3.8952 -5.1847
H 2.0268 -2.0864 -5.0891
C 2.3612 1.2136 -4.2986
C 3.4659 0.8414 -3.2919
O 2.9759 -0.1824 -2.4221
C 3.7759 -0.7843 -1.5577
O 4.9820 -0.5812 -1.3546
O 3.0686 -1.6297 -0.7323
C 3.6584 -2.0951 0.4874
H 1.7418 0.3460 -4.5261
H 2.8304 1.4688 -5.2488
H 1.8738 2.1685 -4.1022
H 3.9947 1.6763 -2.8321
H 4.3108 0.3727 -3.7964
H 4.5173 -2.7440 0.3160
H 2.8899 -2.4196 1.1890
H 4.2472 -1.2811 0.9102
C -6.5169 -2.8611 -2.6747
C -5.2086 -2.1498 -2.1358
O -5.2495 -1.9639 -0.7459
C -4.4430 -1.0257 -0.2295
O -3.6343 -0.2582 -0.8052
O -4.6380 -0.8977 1.0505
C -3.9215 0.0738 1.7118
H -6.5379 -2.8883 -3.7642
H -7.4542 -2.5004 -2.2511
H -6.3888 -3.9144 -2.4252
H -5.2008 -1.2771 -2.7889
H -4.3590 -2.8129 -2.2983
H -2.8326 0.0244 1.7229
H -4.0702 0.0312 2.7908
H -4.1899 1.0805 1.3915
C 0.3743 4.4927 5.7816
C 1.4819 5.3007 5.0276
O 1.2634 5.1072 3.6003
C 2.2695 5.4872 2.6786
O 3.3639 5.9601 3.0822
O 2.0133 5.1099 1.4356
C 0.7193 5.3860 0.9405
H 0.7192 4.0692 6.7249
H -0.0954 3.6667 5.2476
H -0.3767 5.2324 6.0587
H 2.3901 4.7273 5.2133
H 1.5636 6.3070 5.4383
H 0.3524 6.3990 1.1058
H -0.1148 4.7303 1.1902
H 0.9171 5.4445 -0.1298
C 1.3029 1.3938 3.7582
C 1.1779 -0.0304 3.2655
O 0.4220 -0.2927 2.1669
C 0.6454 0.2008 0.9323
O 1.6681 0.7583 0.5616
O -0.2846 -0.2716 0.2174
C -0.1953 -0.2366 -1.1895
H 1.9452 1.3937 4.6388
H 0.3795 1.8574 4.1055
H 1.6218 2.0036 2.9129
H 0.7828 -0.3951 4.2137
H 2.1761 -0.4205 3.0666
H 0.6877 -0.8515 -1.3637
H -0.2248 0.6910 -1.7610
H -1.0813 -0.7805 -1.5171
*
```

Results of the Löwdin charge analysis, in e, for atoms 1 through 5: Cl 0.612; C -0.665; C -0.667; Cl 0.613; H 0.040



No. 2
Formula: C20H40CrO4SSb2
Source: the OMol25 dataset
Level of theory: ωB97M-V/def2-TZVPD

Orbital gap (spin up / spin down), eV: 6.13 / 7.21
DFT total energy, Ha: -3009.1810
F_max, Eh/bohr: 0.007

The geometry in ORCA input format:
```
! RIJCOSX wB97M-V def2-TZVPD def2/J DEFGRID3
* xyz 3 4
Cr -1.0896 -0.0760 0.3580
C -3.4934 -1.5410 -1.1389
O -2.5865 -1.5017 -0.0112
C -3.2109 -1.8377 1.2481
C -3.6955 -0.5580 1.8858
O -2.6040 0.4082 1.8022
C -3.0587 1.7581 1.5407
C -3.3225 1.9133 0.0626
O -2.1796 1.3479 -0.6329
C -2.0800 1.7966 -2.0093
H -3.7871 -2.5732 -1.3207
H -2.9582 -1.1511 -2.0002
H -4.3757 -0.9313 -0.9433
H -2.4410 -2.3171 1.8465
H -4.0248 -2.5451 1.0901
H -3.9572 -0.7060 2.9338
H -4.5633 -0.1494 1.3678
H -2.2547 2.4104 1.8719
H -3.9483 1.9818 2.1301
H -3.4161 2.9684 -0.2002
H -4.2195 1.3907 -0.2750
H -1.8924 2.8697 -2.0234
H -3.0085 1.5695 -2.5323
H -1.2529 1.2611 -2.4655
C -0.5861 -2.8254 -2.5879
Sb 0.4053 -1.2560 -1.5718
C 2.0235 -2.2391 -0.6482
C 1.4062 -0.1098 -3.0826
C 2.7683 0.2746 -2.5802
C 3.8651 -0.4816 -2.9871
C 5.1419 -0.1969 -2.5291
C 5.3374 0.8612 -1.6540
C 4.2549 1.6306 -1.2571
C 2.9650 1.3511 -1.7057
C 1.8496 2.2673 -1.2905
Sb 0.8798 1.7823 0.5586
C 0.1879 3.7222 1.0697
C 2.5177 1.4952 1.8577
H 0.1911 -3.4370 -3.0450
H -1.2406 -2.4351 -3.3640
H -1.1536 -3.4255 -1.8805
H 2.6216 -2.6974 -1.4345
H 1.6414 -3.0079 0.0190
H 2.6443 -1.5264 -0.1077
H 0.7877 0.7343 -3.3834
H 1.4742 -0.7861 -3.9352
H 3.7220 -1.2938 -3.6906
H 5.9819 -0.7863 -2.8704
H 6.3309 1.1067 -1.3046
H 4.4238 2.4896 -0.6176
H 1.0689 2.3805 -2.0426
H 2.2378 3.2671 -1.0857
H 1.0509 4.2823 1.4281
H -0.5721 3.7232 1.8454
H -0.1971 4.2009 0.1702
H 3.1794 2.3483 1.7131
H 3.0494 0.5798 1.6085
____________

-- Exercise --
Please duplicate the whole of the notes further up word for word.

-- Completed --
No. 1
Formula: C20H40Cl4O12
Source: the OMol25 dataset
Level of theory: ωB97M-V/def2-TZVPD

Orbital gap (spin up / spin down), eV: 9.81 / 2.73
DFT total energy, Ha: -3529.2347
F_max, Eh/bohr: 0.109

The geometry in ORCA input format:
```
! RIJCOSX wB97M-V def2-TZVPD def2/J DEFGRID3
* xyz 1 2
Cl 0.3682 -3.6433 1.2064
C -1.1878 -3.1688 0.4526
C -2.2022 -4.2436 0.2435
Cl -1.4944 -5.4960 -0.7213
H -0.8584 -2.7232 -0.4861
H -1.6390 -2.3850 1.0610
H -3.1028 -3.9771 -0.3096
H -2.4374 -4.5965 1.2477
Cl 0.2637 -5.1973 -3.9981
C 0.7765 -3.5232 -4.0013
C 1.6298 -3.0975 -5.1791
Cl 0.6958 -3.2515 -6.7829
H 1.0566 -3.1638 -3.0111
H -0.1816 -3.0223 -4.1398
H 2.3727 -3.8952 -5.1847
H 2.0268 -2.0864 -5.0891
C 2.3612 1.2136 -4.2986
C 3.4659 0.8414 -3.2919
O 2.9759 -0.1824 -2.4221
C 3.7759 -0.7843 -1.5577
O 4.9820 -0.5812 -1.3546
O 3.0686 -1.6297 -0.7323
C 3.6584 -2.0951 0.4874
H 1.7418 0.3460 -4.5261
H 2.8304 1.4688 -5.2488
H 1.8738 2.1685 -4.1022
H 3.9947 1.6763 -2.8321
H 4.3108 0.3727 -3.7964
H 4.5173 -2.7440 0.3160
H 2.8899 -2.4196 1.1890
H 4.2472 -1.2811 0.9102
C -6.5169 -2.8611 -2.6747
C -5.2086 -2.1498 -2.1358
O -5.2495 -1.9639 -0.7459
C -4.4430 -1.0257 -0.2295
O -3.6343 -0.2582 -0.8052
O -4.6380 -0.8977 1.0505
C -3.9215 0.0738 1.7118
H -6.5379 -2.8883 -3.7642
H -7.4542 -2.5004 -2.2511
H -6.3888 -3.9144 -2.4252
H -5.2008 -1.2771 -2.7889
H -4.3590 -2.8129 -2.2983
H -2.8326 0.0244 1.7229
H -4.0702 0.0312 2.7908
H -4.1899 1.0805 1.3915
C 0.3743 4.4927 5.7816
C 1.4819 5.3007 5.0276
O 1.2634 5.1072 3.6003
C 2.2695 5.4872 2.6786
O 3.3639 5.9601 3.0822
O 2.0133 5.1099 1.4356
C 0.7193 5.3860 0.9405
H 0.7192 4.0692 6.7249
H -0.0954 3.6667 5.2476
H -0.3767 5.2324 6.0587
H 2.3901 4.7273 5.2133
H 1.5636 6.3070 5.4383
H 0.3524 6.3990 1.1058
H -0.1148 4.7303 1.1902
H 0.9171 5.4445 -0.1298
C 1.3029 1.3938 3.7582
C 1.1779 -0.0304 3.2655
O 0.4220 -0.2927 2.1669
C 0.6454 0.2008 0.9323
O 1.6681 0.7583 0.5616
O -0.2846 -0.2716 0.2174
C -0.1953 -0.2366 -1.1895
H 1.9452 1.3937 4.6388
H 0.3795 1.8574 4.1055
H 1.6218 2.0036 2.9129
H 0.7828 -0.3951 4.2137
H 2.1761 -0.4205 3.0666
H 0.6877 -0.8515 -1.3637
H -0.2248 0.6910 -1.7610
H -1.0813 -0.7805 -1.5171
*
```

Results of the Löwdin charge analysis, in e, for atoms 1 through 5: Cl 0.612; C -0.665; C -0.667; Cl 0.613; H 0.040



No. 2
Formula: C20H40CrO4SSb2
Source: the OMol25 dataset
Level of theory: ωB97M-V/def2-TZVPD

Orbital gap (spin up / spin down), eV: 6.13 / 7.21
DFT total energy, Ha: -3009.1810
F_max, Eh/bohr: 0.007

The geometry in ORCA input format:
```
! RIJCOSX wB97M-V def2-TZVPD def2/J DEFGRID3
* xyz 3 4
Cr -1.0896 -0.0760 0.3580
C -3.4934 -1.5410 -1.1389
O -2.5865 -1.5017 -0.0112
C -3.2109 -1.8377 1.2481
C -3.6955 -0.5580 1.8858
O -2.6040 0.4082 1.8022
C -3.0587 1.7581 1.5407
C -3.3225 1.9133 0.0626
O -2.1796 1.3479 -0.6329
C -2.0800 1.7966 -2.0093
H -3.7871 -2.5732 -1.3207
H -2.9582 -1.1511 -2.0002
H -4.3757 -0.9313 -0.9433
H -2.4410 -2.3171 1.8465
H -4.0248 -2.5451 1.0901
H -3.9572 -0.7060 2.9338
H -4.5633 -0.1494 1.3678
H -2.2547 2.4104 1.8719
H -3.9483 1.9818 2.1301
H -3.4161 2.9684 -0.2002
H -4.2195 1.3907 -0.2750
H -1.8924 2.8697 -2.0234
H -3.0085 1.5695 -2.5323
H -1.2529 1.2611 -2.4655
C -0.5861 -2.8254 -2.5879
Sb 0.4053 -1.2560 -1.5718
C 2.0235 -2.2391 -0.6482
C 1.4062 -0.1098 -3.0826
C 2.7683 0.2746 -2.5802
C 3.8651 -0.4816 -2.9871
C 5.1419 -0.1969 -2.5291
C 5.3374 0.8612 -1.6540
C 4.2549 1.6306 -1.2571
C 2.9650 1.3511 -1.7057
C 1.8496 2.2673 -1.2905
Sb 0.8798 1.7823 0.5586
C 0.1879 3.7222 1.0697
C 2.5177 1.4952 1.8577
H 0.1911 -3.4370 -3.0450
H -1.2406 -2.4351 -3.3640
H -1.1536 -3.4255 -1.8805
H 2.6216 -2.6974 -1.4345
H 1.6414 -3.0079 0.0190
H 2.6443 -1.5264 -0.1077
H 0.7877 0.7343 -3.3834
H 1.4742 -0.7861 -3.9352
H 3.7220 -1.2938 -3.6906
H 5.9819 -0.7863 -2.8704
H 6.3309 1.1067 -1.3046
H 4.4238 2.4896 -0.6176
H 1.0689 2.3805 -2.0426
H 2.2378 3.2671 -1.0857
H 1.0509 4.2823 1.4281
H -0.5721 3.7232 1.8454
H -0.1971 4.2009 0.1702
H 3.1794 2.3483 1.7131
H 3.0494 0.5798 1.6085